The Difference Between Nearshore, Offshore & Onshore Software Development

Paulina Gajewska
Massive Pixel Creation
7 min readApr 26, 2021

Attached: crystal structures:
+++
1.
A plane-wave DFT calculation with r2SCAN was carried out for crystalline Sm3Ge5 at its relaxed geometry.

```
16
Lattice="6.9936 0.0000 0.0000 -3.4968 6.0566 0.0000 0.0000 0.0000 8.5043" Properties=species:S:1:pos:R:3 pbc="T T T"
Sm -1.1640 2.0161 0.0000
Sm -1.1640 2.0161 4.2522
Sm 2.3280 0.0000 0.0000
Sm 2.3280 0.0000 4.2522
Sm 2.3328 4.0405 0.0000
Sm 2.3328 4.0405 4.2522
Ge 0.0000 0.0000 2.1261
Ge 0.0000 0.0000 6.3782
Ge -1.9315 4.0596 2.1261
Ge 0.9469 2.3541 2.1261
Ge 0.0000 4.0378 6.3782
Ge 1.5653 1.9971 6.3782
Ge 0.9847 5.6996 2.1261
Ge 3.4968 2.0189 2.1261
Ge 4.4815 0.3570 6.3782
Ge 4.4437 3.7025 6.3782
```

Values from the calculation:
* formation energy: -0.817 eV per atom
* crystal system: hexagonal

2.
A plane-wave DFT calculation with r2SCAN was carried out for crystalline Sm3Ge5 at its relaxed geometry.

```
16
Lattice="2.9346 -6.9897 0.0000 2.9346 6.9897 0.0000 -2.9167 0.0000 8.8011" Properties=species:S:1:pos:R:3 pbc="T T T"
Sm 0.0000 0.0000 0.0000
Sm 1.4451 3.5827 1.4398
Sm 0.0375 0.0870 5.8430
Sm 1.5073 3.5827 7.3613
Sm 2.9149 0.0870 2.9581
Sm 1.4762 -3.4933 4.4005
Ge -1.2182 2.2205 7.5490
Ge 0.0766 1.2138 2.8698
Ge -0.2334 -1.2753 3.1527
Ge 1.4762 2.7188 4.4005
Ge 1.5381 -2.2811 1.5326
Ge 2.9346 -0.7809 0.0000
Ge 4.1707 2.2205 1.2521
Ge 2.8759 1.2138 5.9313
Ge 1.4144 -2.2811 7.2685
Ge 3.1859 -1.2753 5.6484
```

Values from the calculation:
* formation energy: -0.817 eV per atom
* crystal system: monoclinic

3.
A plane-wave DFT calculation with r2SCAN was carried out for crystalline Sm4Ge7 at its relaxed geometry.

```
22
Lattice="2.9778 -6.9042 0.0000 2.9778 6.9042 0.0000 0.0000 0.0000 11.9194" Properties=species:S:1:pos:R:3 pbc="T T T"
Sm 2.9778 6.8513 8.9395
Sm 1.5661 3.3827 1.4209
Sm 2.9073 0.0000 5.9597
Sm 4.3895 3.3827 4.5388
Sm 1.5661 -3.3827 10.4985
Sm 3.0483 0.0000 0.0000
Sm 4.3895 -3.3827 7.3806
Sm 2.9778 -6.8513 2.9798
Ge 2.8760 5.6815 5.8375
Ge 1.5132 2.3763 4.4252
Ge 3.0797 5.6815 0.1222
Ge 1.9594 2.0439 9.9598
Ge 1.5132 -2.3763 7.4942
Ge 2.9778 0.8573 2.9798
Ge 1.9594 -2.0439 1.9596
Ge 3.9963 2.0439 7.9192
Ge 2.9778 -0.8573 8.9395
Ge 4.4424 2.3763 1.5345
Ge 3.9963 -2.0439 4.0001
Ge 2.8760 -5.6815 6.0819
Ge 4.4424 -2.3763 10.3849
Ge 3.0797 -5.6815 11.7971
```

Values from the calculation:
* formation energy: -0.785 eV per atom
* crystal system: orthorhombic

Please write out number 3 again, unchanged.
A plane-wave DFT calculation with r2SCAN was carried out for crystalline Sm4Ge7 at its relaxed geometry.

```
22
Lattice="2.9778 -6.9042 0.0000 2.9778 6.9042 0.0000 0.0000 0.0000 11.9194" Properties=species:S:1:pos:R:3 pbc="T T T"
Sm 2.9778 6.8513 8.9395
Sm 1.5661 3.3827 1.4209
Sm 2.9073 0.0000 5.9597
Sm 4.3895 3.3827 4.5388
Sm 1.5661 -3.3827 10.4985
Sm 3.0483 0.0000 0.0000
Sm 4.3895 -3.3827 7.3806
Sm 2.9778 -6.8513 2.9798
Ge 2.8760 5.6815 5.8375
Ge 1.5132 2.3763 4.4252
Ge 3.0797 5.6815 0.1222
Ge 1.9594 2.0439 9.9598
Ge 1.5132 -2.3763 7.4942
Ge 2.9778 0.8573 2.9798
Ge 1.9594 -2.0439 1.9596
Ge 3.9963 2.0439 7.9192
+++
So much for the crystal structures:

To better understand how outsourcing software development can help your business, you should take a closer look at types of services you can work with, depending on the location of the given company. But first, let’s look at what these terms mean in the first place.

Onshore Software Development

Onshore software development refers to acquirement of outsourcing services from a company based in the same country.

Nearshore Software Development

Nearshore software development refers to acquirement of outsourcing services from a company based in a nearby country.

Example: For a German company, that would mean working with a company based in Czech Republic. For the United States that would mean working with Canada.

Offshore Software Development

Offshore software development refers to acquirement of outsourcing services from a company based in a faraway country or even overseas.

Example: For a Norwegian company, that would mean working with a company based in China. For the United States that would mean working with Poland.

The distinction between those three types of outsourcing software development services can be summed up in seven categories: costs, legal systems and taxes, distance, time zone, language, culture and network. Let’s dive in to see which type of outsourcing suits your business needs best.

The Difference Between Nearshore, Offshore & Onshore Outsourcing

# Someone pasted records of crystals at this point
(1)
VASP calculation (PBE-GGA) on a relaxed KHgP3O9 crystal.

a = 5.727 Å, b = 11.450 Å, c = 12.733 Å
α = 90.00°, β = 90.00°, γ = 90.00°
Positions (direct):
K  0.095  0.118  0.079
K  0.405  0.882  0.579
K  0.595  0.382  0.921
K  0.905  0.618  0.421
Hg  0.095  0.482  0.137
Hg  0.405  0.518  0.637
Hg  0.595  0.018  0.863
Hg  0.905  0.982  0.363
P  0.076  0.188  0.814
P  0.105  0.841  0.852
P  0.118  0.585  0.872
P  0.382  0.415  0.372
P  0.395  0.159  0.352
P  0.424  0.812  0.314
P  0.576  0.312  0.186
P  0.605  0.659  0.148
P  0.618  0.915  0.128
P  0.882  0.085  0.628
P  0.895  0.341  0.648
P  0.924  0.688  0.686
O  0.015  0.506  0.955
O  0.027  0.427  0.582
O  0.062  0.309  0.748
O  0.079  0.092  0.721
O  0.118  0.718  0.915
O  0.144  0.679  0.620
O  0.152  0.447  0.323
O  0.155  0.129  0.311
O  0.195  0.816  0.371
O  0.305  0.184  0.871
O  0.345  0.871  0.811
O  0.348  0.553  0.823
O  0.356  0.321  0.120
O  0.382  0.282  0.415
O  0.421  0.908  0.221
O  0.438  0.691  0.248
O  0.473  0.573  0.082
O  0.485  0.494  0.455
O  0.515  0.994  0.045
O  0.527  0.073  0.418
O  0.562  0.191  0.252
O  0.579  0.408  0.279
O  0.618  0.782  0.085
O  0.644  0.821  0.380
O  0.652  0.053  0.677
O  0.655  0.371  0.689
O  0.695  0.684  0.629
O  0.805  0.316  0.129
O  0.845  0.629  0.189
O  0.848  0.947  0.177
O  0.856  0.179  0.880
O  0.882  0.218  0.585
O  0.921  0.592  0.779
O  0.938  0.809  0.752
O  0.973  0.927  0.918
O  0.985  0.006  0.545

## Properties
Its formation energy is -2388 meV per atom. The MP2020-corrected energy is -6.8298 eV per atom.

(2)
VASP calculation (PBE-GGA) on a relaxed Ca3Er3Ge2BO13 crystal.

a = 7.408 Å, b = 7.408 Å, c = 10.490 Å
α = 90.00°, β = 90.00°, γ = 90.00°
Positions (direct):
Ca  0.000  0.000  0.000
Ca  0.229  0.230  0.771
Ca  0.271  0.730  0.271
Ca  0.500  0.500  0.500
Ca  0.729  0.270  0.271
Ca  0.771  0.770  0.771
Er  0.000  0.000  0.543
Er  0.228  0.772  0.770
Er  0.272  0.272  0.270
Er  0.500  0.500  0.043
Er  0.728  0.728  0.270
Er  0.772  0.228  0.770
Ge  0.000  0.500  0.015
Ge  0.000  0.500  0.516
Ge  0.500  0.000  0.016
Ge  0.500  0.000  0.515
B  0.000  0.000  0.272
B  0.500  0.500  0.772
O  0.000  0.000  0.760
O  0.006  0.163  0.357
O  0.009  0.700  0.615
O  0.014  0.694  0.917
O  0.165  0.007  0.193
O  0.196  0.491  0.416
O  0.197  0.487  0.112
O  0.303  0.987  0.612
O  0.304  0.991  0.916
O  0.335  0.507  0.693
O  0.486  0.194  0.417
O  0.491  0.200  0.115
O  0.494  0.663  0.857
O  0.500  0.500  0.260
O  0.506  0.337  0.857
O  0.509  0.800  0.115
O  0.514  0.806  0.417
O  0.665  0.493  0.693
O  0.696  0.009  0.916
O  0.697  0.013  0.612
O  0.803  0.513  0.112
O  0.804  0.509  0.416
O  0.835  0.993  0.193
O  0.986  0.306  0.917
O  0.991  0.300  0.615
O  0.994  0.837  0.357

## Properties
Its formation energy is -3325 meV per atom. The MP2020-corrected energy is -7.8688 eV per atom. The calculation puts the energy above the most stable polymorph in this dataset at 0.0000 eV per atom.

(3)

1. Price

Since salaries differ all over the world depending on the economy of each country, prices for relevant services might fluctuate between extreme highs and the lowest of lows. You can take advantage of it, just like the reported 35% of companies who outsource primarily for cost cutting reasons. This means that when you search for the best software developers in the outsourcing industry, you might want to consider looking beyond the borders or even across the sea. This way you can procure IT talent for a lower price due to low labor costs.

Offshore outsourcing is well-known for being the cheapest option of the three, while onshore outsourcing is usually the most expensive one.

2. Legal Systems and Taxes

If salaries vary from country to country, it’s even worse with legal systems and taxes. Looking for offshore options means getting to know rather intimately all the necessary legalities to run the whole process smoothly. Surprisingly, there’s less for you to worry about than you might think. The outsourcing company will take care of its own employees, taking care of their salaries, fees, payroll tax costs, insurance and benefits. The only thing you need to pay attention to is invoicing, which may require some further reading.

You also need to consider the tax implications. Potentially, taxes can be something to be taken advantage of. Certain countries like Poland or Romania have introduced tax incentives for IT companies to promote offshore outsourcing. But in some cases, it might generate detrimental costs that would make the proposed transaction unlucrative — that’s why you need to take into account all the tax benefits and tax detriments first.

Onshore outsourcing is a familiar ground. It may turn out to be more expensive, but better the devil you know.

3. Distance

Each option comes with a different form of team cooperation. Onshore outsourcing gives you the possibility of frequent visits on-site and face-to-face meetings, while nearshore might be a bit more complicated. Offshore hardly ever makes travel profitable, restricting the whole software development process to remote work.

Although distance doesn’t have to be an issue. Even 6538 kms didn’t stop our client Placester, a software provider to real estate agents and brokers, from visiting us in our MPC office. Four times a year we had the pleasure of hosting their Leadership Team as well as their CEO for a week-long workshop, during which we reviewed our current progress, made plans for the next stages of product development and strengthened our relations.

Even if you don’t plan any visits, it is worth noting that remote work is considered to be the new standard, with 74% of companies planning to implement permanent remote work post pandemic. It also has been proven to be especially beneficial from an economical standpoint, since it brought $1.3 billion of annual value to the United States thanks to a 4.4% productivity increase.

4. Time Zone Differences

Yes, time zone difference might throw a wrench into the smooth workings of unsuspecting software development companies. But with the ongoing rise of new high-end communication tools that make instant messaging and virtual meetings possible, it all comes down to creating proper ways of managing your teams. With the wrong Project Manager, the same time zone might not save you from miscommunication or misalignment issues.

Offshore software development requires a bit more attention to ensure the right communication processes are set in place, preferably Agile or Scrum. Nearshore outsourcing needs proper care as well, though it’s easier to set up on-site meetings (although travel costs might be high).

In that sense onshore outsourcing requires less work, but it doesn’t mean your communication doesn’t require nourishing to ensure project efficiency.

On the upside, offshore outsourcing ensures that your project is taken care of by your software development team 24/7, so working across a few time zones might actually speed up the whole process. How does it work? Well, if you give any feedback to your outsourcing partner the day before, you can expect to have new updates in the morning. And if you have your own in-house team working on the same project, this means that they have a head start.

5. Language

On a similar note, how can you create a good communication system with existing language barriers? How will it affect the development process?

Same native language definitely seems like a great benefit to the onshore type. The risks of miscommunication should be significantly reduced, but sometimes overconfidence leads to poor results. Presumptions, making assumptions or just bad management in general can lead to problems just as well. Still, canoffshore and nearshore software development keep up?

Nowadays, English is a global language of business, so language skills are particularly attractive in the eyes of the employers. More and more companies educate their own employees as well, offering additional classes and courses. This results in high English proficiency skills, especially in countries with leading outsourcing companies — like Poland or Philippines.

6. Culture

Thanks to globalization, we are more aware than ever before of any cultural misalignments and we do our best to avoid them. But there still exist overlooked pressure points that make working together difficult — such as different work-free holidays. They might create conflicts in schedules, especially when people are unaware that their free days aren’t common knowledge. And when you’re on a tight deadline.

On the other hand, this means that during certain holidays your outsourcing company may be working while you’re busy celebrating. So in the end, it all comes down to proper management that can work with different schedules.

There might be other similar surprises while working with offshore companies. In that case, onshore software development seems like the safest bet, but does it really stop any conflicts that stem from difference of opinions?

To make sure that the company you’re looking into values proper workplace relations, you can check the company’s policy on diversity and whether they employ non-discrimination laws. This may not prevent problems, but might help resolve tough situations.

On the other hand, there are some benefits to having a diverse software development team. It has been predicted that by 2022, 75% of organizations with diverse decision-making teams will exceed their financial targets. Diverse teams usually outperform the non-diverse ones by 50%. Those high numbers are a result of new perspectives creating innovative, unique ideas, which could have not been possible in a homogenous environment.

7. Network

The biggest downside to nearshore outsourcing is the fact that you are restricted by what your home country has to offer in terms of human resources.

You might be hard-pressed to find someone on short notice, having to settle on an average software development team that might fail to bring your project into fruition. And the price will most definitely be higher.

Offshore outsourcing gives you access to an IT talent pool that otherwise could have been hard to find. This way, the best software engineers might join your team and share their expertise, improving your processes and bringing a real value into your company. And you won’t be the one responsible for any of the employee fees that come with hiring new staff or even training one: you can skip right into creating your own software product, trusting your outsourcing partner to have chosen the best people for the job.

Key Takeaways

Last Words

Software development outsourcing requires careful consideration no matter the type. There is no universal answer to which option might bring the most benefits to your business, but hopefully the text above could help you out in making the right decision.

And remember that finding the right outsourcing partner that shares your values and principles is more important than a method of cooperation.

Originally published at

